The Hindu Lunar Mansions form the basis of vedic astrology and are used extensively in all of its forms including in natal, electoral, horary and even in mundane astrology, which deals with entire countries and nations.
Due to their extensive application, the lunar mansions received various attributes to help with their meaning in the different astrological contexts. For example, the direction of a lunar mansion usually has no significance in natal astrology, yet is very useful for finding a lost object through horary astrology or for deciding on a good date to start construction on a high-rise building using electoral astrology.
So what are the different properties of the lunar mansions and what do they mean?
Activity level
The activity level indicates whether a mansion represents acting and initiating an event or is of a reactive\passive nature. For example, Pushya is a passive mansion so it tends to represent mellower natives and doesn’t support radical events, while Mula represents people who prefer to act rather than wait and on the mundane level can include quite a few upheavals to say the least.
Tamasic, Rajasic and Sattvic
The tamasic mansions focus mainly on survival and basic needs, and represent a willingness to achieve at all costs. The rajasic mansions are goal driven, dealing more with ego gratification and self-realization, and signify a readiness for compromise and diplomacy. Sattvic mansions deal more with caring for others and signify a willingness to share and even sacrifice for the greater good.
Primary Motives
In Hindu philosophy there are four primary motives in a person’s life. The first is Dharma, which can be interpreted as the desire to do what we thing us right, just and proper. The second is Artha, which can be understood as the desire to provide sustenance or to fulfill basic needs such as food and shelter. The third is Kama, which can be translated as bodily pleasures such as tasty food, music, arts, sex or leisure. The last one is Moksha, which can be viewed as the desire to be free or to escape responsibilities and limitations, including the cycle of life. Each lunar mansion represents a different motive, which helps in understanding a person’s natal chart and his primary goal in every area of his life.
Angel, human and demon
The lunar mansions are divided into three species – angels, humans and demons. The angel mansions do not necessarily represent kindness or a helpful nature, but rather adherence to the law and to social standards. The opposite is true of the demon mansions, which often represent a non-conformist and rebellious nature but not necessarily a malicious one. The human mansions represent a balance between the obedient and the rebellious, but they are the only ones capable of true extremes both in good and kindness and in evil and malice.
Social Castes
The lunar mansions are divided into six social castes – Priest, Warrior, Trader, Laborer, Butcher and Foreigner.
Foreigner mansions – these mansions represent people with a non-conformist and often rebellious nature, who are able to think outside the box but often find it hard to fit into society, like many artists, designers and inventors.
Butcher mansions – these mansions represent people with a high tolerance for sights and smells which others can’t handle such as butchers, paramedics, surgeons, nurses, sewage workers and undertakers. On the negative side, this tolerance often comes at the cost of emotional distancing or blockage.
Laborer mansions – these mansions represent people with extraordinary physical endurance who can work or exercise for longer than anyone else and still stay on their feet, like professional sportsmen or construction workers. On the negative side, despite their physical attributes they shy away from taking the lead or making decisions.
Trader mansions – these mansions represent people with a golden tongue and extreme personal charm such as businessmen, actors, entertainers and celebrities. On the negative side, they usually refrain from commitments and settling down.
Warrior mansions – despite their name, these mansions mainly represent leaders and decision makers rather than soldiers or sportsmen because they are the first to take responsibility and to assume the lead role, especially in emergency situations. The easiest way to tell them apart from the others is their legendary endurance to pain, as outlined in the mythical story of Karna and Parashurama. On the negative side, they are often hot headed and reckless.
Priest mansions – these mansions represent people with impressive memories and concentration skills such as librarians and archivists, teachers and lecturers, accountants and lawyers. On the negative side, they tend to be arrogant and condescending, and their greatest weakness is their lustfulness which often leads to affairs, scandals and sexual addictions.
Animal and Gender
Each lunar mansion has an associated animal species and a gender, and these are mainly used in relationship and sexual compatibility analyses, though the personality of the native us often comparable to the corresponding animal. To find out more about the animals and their meaning please click here.
Special Power
Someone pasted materials data at this point
<<<
Computed, not measured: Sm2WO6 after structural relaxation at the r2SCAN level of DFT.

Cell: 7.759 5.453 11.582 Å, 90.00 103.98 90.00°
Fractional positions:
Sm 0.000 0.183 0.250
Sm 0.000 0.817 0.750
Sm 0.298 0.308 0.923
Sm 0.298 0.692 0.423
Sm 0.500 0.237 0.250
Sm 0.500 0.763 0.750
Sm 0.702 0.308 0.577
Sm 0.702 0.692 0.077
W 0.222 0.248 0.613
W 0.222 0.752 0.113
W 0.778 0.248 0.887
W 0.778 0.752 0.387
O 0.006 0.142 0.889
O 0.006 0.858 0.389
O 0.137 0.346 0.455
O 0.137 0.654 0.955
O 0.210 0.491 0.226
O 0.210 0.509 0.726
O 0.282 0.040 0.768
O 0.282 0.960 0.268
O 0.354 0.013 0.070
O 0.354 0.987 0.570
O 0.435 0.461 0.604
O 0.435 0.539 0.104
O 0.565 0.461 0.896
O 0.565 0.539 0.396
O 0.646 0.013 0.430
O 0.646 0.987 0.930
O 0.718 0.040 0.732
O 0.718 0.960 0.232
O 0.790 0.491 0.274
O 0.790 0.509 0.774
O 0.863 0.346 0.045
O 0.863 0.654 0.545
O 0.994 0.142 0.611
O 0.994 0.858 0.111

Computed properties:
Excess energy over the best structure of this formula in the dataset, kcal/mol of atoms: 0.000
Formation enthalpy at 0 K, kJ/mol of formula units: -2840
VASP energy, eV/atom: -19.567
Crystal system: monoclinic


# 1
## KCuF3 (r2SCAN)

Data for KCuF3 after structural relaxation.

Cell lengths 5.651, 5.647, 5.647 Å; angles 90.14, 119.90, 119.90 degrees
Sites, in units of the cell vectors:
F: 0.500 0.750 0.250
F: 0.500 0.755 0.745
F: 0.009 0.255 0.755
F: 0.500 0.245 0.255
F: 0.991 0.745 0.245
F: 0.500 0.250 0.750
Cu: 0.500 0.500 0.000
Cu: 0.500 0.000 0.500
K: 0.000 0.250 0.250
K: 0.000 0.750 0.750

- formation energy from the elements (kcal/mol of atoms) = -53.7
- symmetry = I4/mcm
- crystal system = tetragonal

***

# 2
## Si3Os2 (r2SCAN)

Data for Si3Os2 after structural relaxation.

Cell lengths 5.622, 5.622, 8.887 Å; angles 90.00, 90.00, 90.00 degrees
Sites, in units of the cell vectors:
Si: 0.644 0.204 0.907
Si: 0.169 0.831 0.250
Si: 0.204 0.356 0.093
Si: 0.796 0.356 0.593
Si: 0.831 0.831 0.750
Si: 0.356 0.204 0.407
Si: 0.356 0.796 0.907
Si: 0.796 0.644 0.093
Si: 0.204 0.644 0.593
Si: 0.644 0.796 0.407
Si: 0.831 0.169 0.250
Si: 0.169 0.169 0.750
Os: 0.000 0.000 0.000
Os: 0.500 0.000 0.128
Os: 0.500 0.500 0.750
Os: 0.000 0.500 0.872
Os: 0.000 0.000 0.500
Os: 0.000 0.500 0.372
Os: 0.500 0.000 0.628
Os: 0.500 0.500 0.250

- formation energy from the elements (kcal/mol of atoms) = -10.0
- symmetry = P-4c2
- crystal system = tetragonal

***

# 3
## EuB2Ir2 (r2SCAN)

Data for EuB2Ir2 after structural relaxation.

Cell lengths 5.573, 5.573, 6.143 Å; angles 105.34, 105.34, 114.63 degrees
Sites, in units of the cell vectors:
Eu: 0.875 0.125 0.250
Eu: 0.125 0.875 0.750
B: 0.551 0.449 0.250
B: 0.449 0.551 0.750
B: 0.199 0.801 0.250
B: 0.801 0.199 0.750
Ir: 0.494 0.244 0.489
Ir: 0.756 0.506 0.011
Ir: 0.244 0.494 0.989
Ir: 0.506 0.756 0.511

- formation energy from the elements (kcal/mol of atoms) = -18.2
- symmetry = Fddd
- crystal system = orthorhombic

***

# 4
## Nd2S3O12 (r2SCAN)

Data for Nd2S3O12 after structural relaxation.
>>>
Each lunar mansion has a special power attributed to it, which represents the main difference between it and every other mansion. This special power not only symbolizes the most important attribute of the mansion and its natives, but also part of its significance in horary and mundane charts. In Hindu belief, the appropriate offering to any lunar mansion will grant the worshipper the special power of that mansion.
“For all a time, and an hour to each object under heaven.
A time to birth, and a time to die.
A time to plant, and a time to uproot.
A time to kill and a time to heal.
A time to burst, and a time to build.
A time to cry, and a time to grind.
A time to mourn and a time to dance.
A time to hurl stones, and a time to gather stones.
A time to hug and a time to shy from hugging.
A time to ask and a time to lose.
A time to keep and a time to discard.
A time to rend and a time to sew.
A time to whisper and a time to speak.
A time to love and a time to hate.
A time of war and a time of peace.”